Contents
********
Run A
The following is a quantum chemistry calculation of a cluster of 2 separate species, C4H8P2 in total, from the Open Molecules 2025 dataset.

Results
SMILES string: C1=P#[PH]1.C=CC
M: 118.06 g/mol
gap between HOMO and LUMO: 8.73 eV

ORCA input file:
```
! RIJCOSX wB97M-V def2-TZVPD def2/J DEFGRID3
* xyz 0 1
C 3.005 1.009 -0.317
P 3.239 -0.380 -1.156
P 1.581 1.092 -1.445
H 3.568 1.483 0.494
H 2.179 1.953 -2.476
C -0.407 -1.447 0.294
C -1.467 -0.928 0.922
C -2.322 0.209 0.466
H 0.115 -2.212 0.713
H 0.223 -1.056 -0.432
H -1.938 -1.418 1.736
H -1.954 1.191 0.872
H -3.371 0.078 0.874
H -2.451 0.424 -0.546
*
```

=====

Run B
The following is a quantum chemistry calculation of a structure of composition C4H8P2, from the Open Molecules 2025 dataset.

Results
M: 118.06 g/mol
gap between HOMO and LUMO: 8.82 eV

ORCA input file:
```
! RIJCOSX wB97M-V def2-TZVPD def2/J DEFGRID3
* xyz 0 1
C 1.227 0.293 -0.014
C -1.216 -0.010 -0.451
C 2.711 0.259 0.018
C -2.552 0.290 0.180
P -0.004 1.422 -0.438
P 0.316 -1.167 0.602
H -1.341 -0.522 -1.497
H 3.273 1.177 -0.303
H 3.206 -0.577 -0.484
H 3.069 0.038 1.031
H -3.195 0.856 -0.421
H -2.384 0.867 1.054
H -3.206 -0.457 0.704
H 0.963 -1.978 -0.388
*
```

=====

Energy above the most stable structure, in hartree: run A 0.0271; run B 0.0000

=====

Run A
The following is a quantum chemistry calculation of a structure of composition C45H40AsN3O4Ru, from the Open Molecules 2025 dataset.

Results
<S²>: 6.05
M: 862.82 g/mol
gap between HOMO and LUMO (spin up / spin down): 6.70 / 3.20 eV

ORCA input file:
```
! RIJCOSX wB97M-V def2-TZVPD def2/J DEFGRID3
* xyz 2 5
Ru 0.200 0.423 0.294
O -3.652 -0.132 1.180
C -2.606 0.289 0.796
O -1.403 -0.131 1.252
C -2.468 1.344 -0.271
C -3.454 2.144 -0.806
C -3.084 3.075 -1.775
C -1.758 3.186 -2.190
C -0.828 2.349 -1.611
N -1.211 1.468 -0.690
C 0.661 2.309 -1.840
O 1.222 2.957 -2.668
O 1.276 1.447 -1.001
H -4.474 2.033 -0.463
H -3.833 3.730 -2.200
H -1.437 3.906 -2.931
C 3.608 1.500 0.861
C 3.514 0.074 0.401
C 4.466 -0.444 -0.467
C 4.437 -1.779 -0.842
C 3.457 -2.639 -0.352
C 2.478 -2.175 0.506
C 1.457 -3.102 1.102
C 2.512 -0.806 0.847
N 1.498 -0.291 1.717
C 1.570 -0.244 2.994
C 2.734 -0.790 3.746
C 0.537 0.560 3.726
C 0.135 0.127 5.102
N 0.171 1.587 3.069
C -0.615 2.625 3.665
C -1.897 2.436 4.189
C -2.617 1.111 4.216
C -2.553 3.546 4.719
C -1.962 4.794 4.733
C -0.694 4.962 4.195
C -0.010 3.893 3.641
C 1.369 4.084 3.070
H 3.832 2.155 0.020
H 4.420 1.602 1.585
H 2.698 1.860 1.339
H 5.251 0.205 -0.834
H 5.196 -2.162 -1.511
H 3.466 -3.686 -0.627
H 1.457 -4.056 0.579
H 0.445 -2.692 1.067
H 1.679 -3.302 2.154
H 3.630 -0.795 3.129
H 2.530 -1.820 4.054
H 2.903 -0.206 4.649
H 0.937 -0.392 5.622
H -0.712 -0.557 5.031
H -0.179 0.990 5.689
H -3.615 1.211 3.790
H -2.748 0.765 5.243
H -2.099 0.334 3.662
H -3.546 3.414 5.132
H -2.486 5.638 5.159
H -0.230 5.940 4.193
H 1.578 5.142 2.921
H 1.474 3.570 2.114
H 2.138 3.688 3.738
C 0.877 -5.870 -2.641
C 1.682 -4.860 -3.150
C 1.386 -3.530 -2.885
C 0.269 -3.224 -2.117
C -0.537 -4.231 -1.596
C -0.232 -5.556 -1.864
As -0.208 -1.379 -1.771
C 0.226 -0.521 -3.442
C 1.454 -0.051 -3.863
C 1.565 0.467 -5.152
C 0.455 0.508 -5.993
C -0.779 0.056 -5.560
C -0.915 -0.462 -4.268
C -2.164 -0.928 -3.656
C -3.420 -0.947 -4.272
C -4.529 -1.367 -3.558
C -4.412 -1.764 -2.228
C -3.168 -1.768 -1.601
C -2.059 -1.367 -2.321
H 1.110 -6.904 -2.854
H 2.540 -5.106 -3.761
H 2.017 -2.749 -3.290
H -1.407 -3.996 -0.994
H -0.862 -6.343 -1.472
H 2.315 -0.060 -3.207
H 2.517 0.847 -5.497
H 0.560 0.910 -6.992
H -1.636 0.110 -6.218
H -3.527 -0.633 -5.301
H -5.500 -1.387 -4.036
H -5.290 -2.078 -1.678
H -3.093 -2.086 -0.569
*
```

=====

Run B
The following is a quantum chemistry calculation of a structure of composition C45H40AsN3O4Ru, from the Open Molecules 2025 dataset.

Results
<S²>: 6.02
M: 862.82 g/mol
gap between HOMO and LUMO (spin up / spin down): 7.34 / 5.69 eV

ORCA input file:
```
! RIJCOSX wB97M-V def2-TZVPD def2/J DEFGRID3
* xyz 2 5
Ru -0.815 1.552 -1.159
********
Wanted
Next, reproduce only the lines above with the word "run" in them.
Outcome
Energy above the most stable structure, in hartree: run A 0.0271; run B 0.0000